Pokemon Best Wishes: Season 1 Episodes (No Season 2 Discussion)

RE: Best Wishes Episodes

so this tells us the R in team rockets background has now changed i wonder if they will be in every episode or only some of them.
RE: Best Wishes Episodes

The R that Team Rocket is wearing hasn't changed, but the one in the background has where Jessie and James are standing. Though it's just probably going to be shown in some of the episodes not all depending on how fast they want to keep showing the R. Like they did in Diamond and Pearl they didn't show the R in the background always just sometimes.
RE: Best Wishes Episodes

[Unrelated to this page: materials data]
1.
# In2GaHg2I6 PBE optimized geometry
data_In2GaHg2I6
_cell_length_a 14.206
_cell_length_b 8.571
_cell_length_c 9.807
_cell_angle_alpha 90.00
_cell_angle_beta 122.33
_cell_angle_gamma 90.00
_symmetry_space_group_name_H-M 'C 1 2/m 1'
_symmetry_Int_Tables_number 12
loop_
_symmetry_equiv_pos_as_xyz
'x,y,z'
'-x,-y,-z'
'-x,y,-z'
'x,-y,z'
'x+1/2,y+1/2,z'
'-x+1/2,-y+1/2,-z'
'-x+1/2,y+1/2,-z'
'x+1/2,-y+1/2,z'
loop_
_atom_site_label
_atom_site_type_symbol
_atom_site_fract_x
_atom_site_fract_y
_atom_site_fract_z
_atom_site_occupancy
In1 In 0.026 0.000 0.162 1
Ga1 Ga 0.000 0.500 0.500 1
Hg1 Hg 0.182 0.500 0.178 1
I1 I 0.069 0.267 0.790 1
I2 I 0.250 0.000 0.416 1
# Electronic total energy   -1.9400 eV per atom
# E_form (uncorrected)   -267 meV per atom


2.
# In2Ga2HgI6 PBE optimized geometry
data_In2Ga2HgI6
_cell_length_a 7.764
_cell_length_b 8.802
_cell_length_c 8.966
_cell_angle_alpha 69.16
_cell_angle_beta 65.78
_cell_angle_gamma 80.10
_symmetry_space_group_name_H-M 'P -1'
_symmetry_Int_Tables_number 2
loop_
_symmetry_equiv_pos_as_xyz
'x,y,z'
'-x,-y,-z'
loop_
_atom_site_label
_atom_site_type_symbol
_atom_site_fract_x
_atom_site_fract_y
_atom_site_fract_z
_atom_site_occupancy
In1 In 0.241 0.287 0.024 1
Ga1 Ga 0.380 0.600 0.549 1
Hg1 Hg 0.000 0.000 0.000 1
I1 I 0.041 0.468 0.725 1
I2 I 0.368 0.857 0.290 1
I3 I 0.421 0.676 0.793 1
# Electronic total energy   -2.3380 eV per atom
# E_form (uncorrected)   -417 meV per atom


3.
# InGaHg2I4 PBE optimized geometry
data_InGaHg2I4
_cell_length_a 8.030
_cell_length_b 14.731
_cell_length_c 29.184
_cell_angle_alpha 90.00
_cell_angle_beta 90.00
_cell_angle_gamma 90.00
_symmetry_space_group_name_H-M 'F d d d'
_symmetry_Int_Tables_number 70
loop_
_symmetry_equiv_pos_as_xyz
'x,y,z'
'-x,-y,-z'
'-x+1/4,-y+1/4,z'
'x+1/4,y+1/4,-z'
'x,-y+1/4,-z+1/4'
'-x,y+1/4,z+1/4'
'-x+1/4,y,-z+1/4'
'x+1/4,-y,z+1/4'
'x,y+1/2,z+1/2'
'-x,-y+1/2,-z+1/2'
'-x+1/4,-y+3/4,z+1/2'
'x+1/4,y+3/4,-z+1/2'
'x,-y+3/4,-z+3/4'
'-x,y+3/4,z+3/4'
'-x+1/4,y+1/2,-z+3/4'
'x+1/4,-y+1/2,z+3/4'
'x+1/2,y,z+1/2'
'-x+1/2,-y,-z+1/2'
'-x+3/4,-y+1/4,z+1/2'
'x+3/4,y+1/4,-z+1/2'
'x+1/2,-y+1/4,-z+3/4'
'-x+1/2,y+1/4,z+3/4'
'-x+3/4,y,-z+3/4'
'x+3/4,-y,z+3/4'
'x+1/2,y+1/2,z'
'-x+1/2,-y+1/2,-z'
'-x+3/4,-y+3/4,z'
'x+3/4,y+3/4,-z'
'x+1/2,-y+3/4,-z+1/4'
'-x+1/2,y+3/4,z+1/4'
'-x+3/4,y+1/2,-z+1/4'
'x+3/4,-y+1/2,z+1/4'
loop_
_atom_site_label
_atom_site_type_symbol
_atom_site_fract_x
_atom_site_fract_y
_atom_site_fract_z
_atom_site_occupancy
In1 In 0.125 0.125 0.125 1
Ga1 Ga 0.125 0.125 0.625 1
Hg1 Hg 0.125 0.125 0.303 1
I1 I 0.080 0.271 0.430 1
# Electronic total energy   -1.8583 eV per atom
# E_form (uncorrected)   -287 meV per atom


4.
# InGa2HgI8 PBE optimized geometry
data_InGa2HgI8
_cell_length_a 14.753
_cell_length_b 8.498
_cell_length_c 10.091
_cell_angle_alpha 90.00
_cell_angle_beta 105.45
_cell_angle_gamma 90.00
_symmetry_space_group_name_H-M 'C 1 2/m 1'
_symmetry_Int_Tables_number 12
loop_
_symmetry_equiv_pos_as_xyz
'x,y,z'
'-x,-y,-z'
'-x,y,-z'
'x,-y,z'
'x+1/2,y+1/2,z'
[End of the materials data]

Yeah that R is only going to be in a few epsiodes becuase it hasnt changed completely or the R on thier shirts and t-shirts havent changed
RE: Best Wishes Episodes

James having the rose probably won't change as well. The only thing that has changed for Team Rocket in Best Wishes is the color on their uniforms [white-black]. Giovanni's suit has changed as well from his previous one to this one. Anyway I hope we get some more information on what the new episodes will be about.
RE: Best Wishes Episodes

-- Crystal structures, as found in the file --
Below is CsLuP2O7 after structural relaxation, with properties calculated at the PBE level.

```
CsLuP2O7
1.0
8.0022 0.0000 0.0000
0.0000 10.8143 0.0000
-2.2594 0.0000 8.5147
Cs Lu P O
4 4 8 28
Cartesian
1.4609 2.0783 0.4559
0.3312 3.3288 4.7132
5.4116 7.4855 3.8015
4.2819 8.7360 8.0588
1.3375 6.4947 2.1651
0.2078 9.7268 6.4224
5.5350 1.0875 2.0923
4.4053 4.3196 6.3496
-0.8362 6.4520 7.0233
0.2935 9.7695 2.7660
1.8329 6.7757 5.8142
2.9626 9.4458 1.5568
2.7802 1.3686 6.9579
3.9099 4.0386 2.7005
5.4493 1.0448 5.7487
6.5790 4.3623 1.4913
-1.6796 0.0503 6.5265
-0.5499 5.3568 2.2692
-1.0311 7.8810 6.4906
0.0985 8.3406 2.2332
1.2454 6.3507 0.0114
0.1157 9.8708 4.2687
0.7040 6.0048 6.7179
1.8336 10.2167 2.4605
1.4487 6.5301 4.3585
2.5784 9.6914 0.1012
1.4646 0.7003 6.5574
2.5943 4.7069 2.3000
2.9565 7.9696 1.9635
1.8269 8.2519 6.2209
3.9160 2.5625 2.2938
2.7863 2.8447 6.5512
3.1485 6.1075 6.2146
4.2782 10.1140 1.9573
3.1644 1.1230 8.4135
4.2941 4.2842 4.1561
3.9092 0.5976 6.0542
5.0389 4.8095 1.7968
5.6271 0.9435 4.2460
4.4974 4.4637 8.5033
5.6443 2.4738 6.2814
6.7739 2.9334 2.0241
6.2927 5.4575 6.2455
7.4224 10.7640 1.9882
```

SG: P2_1/c, No. 14
Crystal system: monoclinic
Raw formation energy, meV per atom: -2731

Below is CsLuPb2 after structural relaxation, with properties calculated at the PBE level.

```
CsLuPb2
1.0
4.0847 0.0000 0.0000
0.0000 4.0847 0.0000
0.0000 0.0000 8.7042
Cs Lu Pb
1 1 2
Cartesian
0.0000 0.0000 0.0000
0.0000 0.0000 4.3521
2.0423 2.0423 2.7822
2.0423 2.0423 5.9220
```

SG: P4/mmm, No. 123
ΔE_f, meV per atom: -265
Crystal system: tetragonal
Relative energy among the computed polymorphs, eV per atom: 0.000

Below is CsLuPb2 after structural relaxation, with properties calculated at the PBE level.

```
CsLuPb2
1.0
1.9049 1.0998 11.2453
-1.9049 1.0998 11.2453
0.0000 -2.1996 11.2453
Cs Lu Pb
1 1 2
Cartesian
0.0000 0.0000 0.0000
0.0000 0.0000 16.8680
0.0000 0.0000 8.0412
0.0000 0.0000 25.6948
```

SG: R-3m, No. 166
ΔE_f, meV per atom: -120
Crystal system: trigonal
Relative energy among the computed polymorphs, eV per atom: 0.145

~~~~~

# Rb2YIn2 PBE optimized geometry
# **Density of states at the Fermi level**: 2.02 states/eV/atom
data_Rb2YIn2
_cell_length_a 8.155
_cell_length_b 8.155
_cell_length_c 6.429
_cell_angle_alpha 90.00
_cell_angle_beta 90.00
_cell_angle_gamma 90.00
_symmetry_space_group_name_H-M 'P 4/m b m'
_symmetry_Int_Tables_number 127
_symmetry_space_group_name_Hall '-P 4 2ab'
loop_
_atom_site_label
_atom_site_type_symbol
_atom_site_fract_x
_atom_site_fract_y
_atom_site_fract_z
Rb1 Rb 0.177 0.323 0.000
Y1 Y 0.000 0.000 0.500
In1 In 0.129 0.629 0.500


# RbZnIn PBE optimized geometry
# **Density of states at the Fermi level**: 0.77 states/eV/atom
# **Offset from the most stable computed form**: 75.4 meV/atom
data_RbZnIn
_cell_length_a 4.8597
_cell_length_b 4.8597
_cell_length_c 5.3786
_cell_angle_alpha 90.00
_cell_angle_beta 90.00
_cell_angle_gamma 120.00
_symmetry_space_group_name_H-M 'P -6 m 2'

I said the R in the background i never said on there shirts read carefully. Also i hope they wont be in every episode.
RE: Best Wishes Episodes

I've already told you about the R in the background the shirts was when I was talking about what HADN'T changed. The R in the background you were talking about probably won't be shown each and every episode in the series, probably here and there.
RE: Best Wishes Episodes

Well they probably won't make an appearance about 2-3 times a season. There maybe some episodes where it might just revolve around the main characters and not the bad guys.
RE: Best Wishes Episodes

........
[1]
MgZr2B2Ir5 | PBE-GGA | optimized geometry

Unit cell a=9.4771 b=9.4771 c=3.1676 alpha=90.00 beta=90.00 gamma=90.00
With the nearest neighbours (Å) after each atom.
Sites, in units of the cell vectors:
Mg1 0.0000 0.0000 0.0000  8 Ir 2.71
Mg2 0.5000 0.5000 0.0000  8 Ir 2.71
Zr1 0.1775 0.3225 0.0000  3 B 2.67-2.90, 6 Ir 2.86-2.90
Zr2 0.3225 0.8225 0.0000  3 B 2.67-2.90, 6 Ir 2.86-2.90
Zr3 0.6775 0.1775 0.0000  3 B 2.67-2.90, 6 Ir 2.86-2.90
Zr4 0.8225 0.6775 0.0000  3 B 2.67-2.90, 6 Ir 2.86-2.90
B1 0.1236 0.6236 0.0000  6 Ir 2.22-2.29
B2 0.3764 0.1236 0.0000  6 Ir 2.22-2.29
B3 0.6236 0.8764 0.0000  6 Ir 2.22-2.29
B4 0.8764 0.3764 0.0000  6 Ir 2.22-2.29
Ir1 0.0000 0.5000 0.5000  4 B 2.29
Ir2 0.0699 0.7788 0.5000  2 B 2.22
Ir3 0.2212 0.0699 0.5000  2 B 2.22
Ir4 0.2788 0.5699 0.5000  2 B 2.22
Ir5 0.4301 0.2788 0.5000  2 B 2.22
Ir6 0.5000 0.0000 0.5000  4 B 2.29
Ir7 0.5699 0.7212 0.5000  2 B 2.22
Ir8 0.7212 0.4301 0.5000  2 B 2.22
Ir9 0.7788 0.9301 0.5000  2 B 2.22
Ir10 0.9301 0.2212 0.5000  2 B 2.22

Values from the calculation:
Formation energy   -0.73 eV per atom
Uncorrected energy   -8.367 eV/atom

---

[2]
Pu2CdCl11 | PBE-GGA | optimized geometry

Unit cell a=11.3472 b=11.3472 c=11.3472 alpha=125.48 beta=98.16 gamma=106.12
With the nearest neighbours (Å) after each atom.
Sites, in units of the cell vectors:
Pu1 0.0786 0.2319 0.3104  6 Cl 2.47-2.68
Pu2 0.4214 0.7319 0.1533  6 Cl 2.47-2.68
Pu3 0.5786 0.2681 0.8467  6 Cl 2.47-2.68
Pu4 0.9214 0.7681 0.6896  6 Cl 2.47-2.68
Cd1 0.2500 0.7500 0.5000  4 Cl 2.56
Cd2 0.7500 0.2500 0.5000  4 Cl 2.56
Cl1 0.0000 0.0000 0.0000  2 Pu 2.68
Cl2 0.0430 0.0189 0.3300  1 Pu 2.48
Cl3 0.0889 0.4502 0.2785  1 Cd 2.56, 1 Pu 2.68
Cl4 0.1611 0.4383 0.5994  1 Pu 2.47
Cl5 0.1717 0.8104 0.7215  1 Cd 2.56, 1 Pu 2.68
Cl6 0.1889 0.5189 0.9759  1 Pu 2.48
Cl7 0.3111 0.2870 0.3300  1 Pu 2.48
Cl8 0.3283 0.0498 0.6387  1 Cd 2.56, 1 Pu 2.68
Cl9 0.3389 0.9383 0.2772  1 Pu 2.47
Cl10 0.4111 0.6896 0.3613  1 Cd 2.56, 1 Pu 2.68
Cl11 0.4570 0.7870 0.9759  1 Pu 2.48
Cl12 0.5000 0.5000 0.0000  2 Pu 2.68
Cl13 0.5430 0.2130 0.0241  1 Pu 2.48
Cl14 0.5889 0.3104 0.6387  1 Cd 2.56, 1 Pu 2.68
Cl15 0.6611 0.0617 0.7228  1 Pu 2.47
Cl16 0.6717 0.9502 0.3613  1 Cd 2.56, 1 Pu 2.68
Cl17 0.6889 0.7130 0.6700  1 Pu 2.48
Cl18 0.8111 0.4811 0.0241  1 Pu 2.48
Cl19 0.8283 0.1896 0.2785  1 Cd 2.56, 1 Pu 2.68
Cl20 0.8389 0.5617 0.4006  1 Pu 2.47
Cl21 0.9111 0.5498 0.7215  1 Cd 2.56, 1 Pu 2.68
Cl22 0.9570 0.9811 0.6700  1 Pu 2.48

Values from the calculation:
Uncorrected energy   -4.907 eV/atom

---

[3]
AcCd4 | PBE-GGA | optimized geometry

Unit cell a=7.0058 b=7.0058 c=7.0058 alpha=140.69 beta=140.69 gamma=56.81
With the nearest neighbours (Å) after each atom.
Sites, in units of the cell vectors:
Ac1 0.0000 0.0000 0.0000  16 Cd 3.61-3.88
Cd1 0.2500 0.7500 0.5000  4 Cd 2.90
Cd2 0.3870 0.3870 0.0000  5 Cd 2.79-2.90
Cd3 0.6130 0.6130 0.0000  5 Cd 2.79-2.90
Cd4 0.7500 0.2500 0.5000  4 Cd 2.90

Values from the calculation:
Formation energy   -0.26 eV per atom
........

If it is fast paced and doesn't take them long to get to different gyms and places, wouldn't that make the seasons a lot shorter? Or maybe longer battles.
I hope Ash evolves his guys faster than dp. His Turtwig got really annoying with it's cry.
RE: Best Wishes Episodes

I can't wait for the first episode to air! I really have high hopes for Best Wishes, since I didn't like DP Saga that much..^^'

Hey, this question may or may not be related, but...who knows why won't White (BW Female Protagonist) be in Best Wishes? I was just wondering why they replaced her with Iris...
RE: Best Wishes Episodes

@Tryrisha: To answer your question; the creators just thought that she probably didn't fit in that "anime" environment to be with Ash or that they wanted Iris to be with Ash because during the first series they made Misty go with Ash since she was a gym leader. Iris is a gym leader as well which means that she will be going with Ash. The creators are probably making the 5th generation similar to the 1st generation. Though probably White (BW Female Protagonist) will make an appearance in some of the episodes of Best Wishes.
RE: Best Wishes Episodes

I think White (Best Wishes Protagonist) will make an appearnace like Lyra (Heart Gold Character) did this season in D/P
RE: Best Wishes Episodes

White (Best Wishes Protagonista) most likely will be appearing in the Best Wishes episodes probably as many have stated she will probably make appearances like Lyra did in the D/P series. It would be cool to see how she is in the anime.
RE: Best Wishes Episodes

Forgot to say the 5th titles is BW005 - Baoppu, Hiyappu, Yanappu what do you think will happen?(I know it's obvious but explain further)
RE: Best Wishes Episodes

Just saw the first ep... pretty impressed. Shiny new graphics yay.

Not so sure about the opening though...first one ever not to feature any protagonists. The music was OK though.
RE: Best Wishes Episodes

Woah the first epsiode is out already, I must see it!, This is the first series I will watch the Anime in japanese aswell as English
RE: Best Wishes Episodes

awww....! Mijumaru is so cute! He keeps on trying to get ash's attention to catch him!
RE: Best Wishes Episodes

Mijumaru :3... Tsutarja's Grass Mixer was a BIG EPIC GRASS TORNADO!!! YAYY
RE: Best Wishes Episodes

I just realised something about the opening... in episode 2 some Pokémon had lit up, the ones we'd seen in episode 1. Very cool.

And yeah, Team Rocket appear not to be quite is incompetant as before. Go them. Although boo for Jessie not having a Snake now. :/
RE: Best Wishes Episodes

Yeah the opening is very cool, I hope as the episodes progress they uncover the pokemon we have seen in past episodes,